Practice Report from an Out of Towner


Aug 20, 2003
Maybe a different perspective:

1) We walked into practice a bit early with the rest of the players, strapped on our knee braces and went to work. Our DL is wearing the same knee braces as you'd see from the OL, but holy cow, do these guys look athletic for their size. And good lordy, TJ Barnes is an absolute gargantuan. Not as athletic or slimmed down yet, but he is in Jon Carman's range.

2) I'm not so sure about the little birdie's comments of recent.

3) Our kickers look strong, how effective is unclear to a novice like me.

4) Two hours absolutely flew by. Tech puts out a roster with numbers which is very helpful. The practices are broken into five minute intervals. These guys are highly efficient with their practice time. There is very little standing around, there is virtually zero goofing off, it is highly efficient.

5) The coaches and assistants work their butts off too for two straight hours.

== Calculated crystals, kept here for reference ==
=====
Version one
A geometry-optimized TeMoWSe2S structure, computed with PBE.

The structure in POSCAR format:
```
TeMoWSe2S
1.0
-1.995 1.605 -2.153
-0.809 -3.068 1.062
-19.271 15.182 29.170
Mo S Te Se W
2 2 2 4 2
Cartesian
-7.030 4.325 7.138
-3.014 -0.084 2.730
-4.177 2.077 2.819
-2.643 0.869 0.498
-12.912 7.713 17.712
-14.841 9.233 20.632
-11.497 7.845 13.901
-9.802 6.509 11.335
-5.791 2.103 6.933
-7.478 3.432 9.486
-10.254 5.619 13.689
-14.272 10.031 18.101
```

Version two
A geometry-optimized TeMoWSe2S structure, computed with PBE.

The structure in POSCAR format:
```
TeMoWSe2S
1.0
-2.817 -1.795 -0.093
1.935 -0.066 2.724
-19.263 29.480 14.392
Te S Se W Mo
2 2 4 2 2
Cartesian
-0.498 0.656 2.419
-2.418 3.595 3.854
-9.467 14.383 9.121
-7.926 12.024 7.969
-11.818 18.086 8.830
-13.514 20.682 10.097
-4.585 7.017 3.426
-6.273 9.600 4.687
-12.315 18.742 11.249
-9.047 13.846 6.759
-1.808 2.767 1.351
-5.078 7.666 5.841
```

Bottom line: version two, by a margin of 36 meV per atom.

Version one
A geometry-optimized TeMoWSe2S structure, computed with PBE.

The structure in POSCAR format:
```
TeMoWSe2S
1.0
-2.574 1.159 1.788
-0.373 -0.611 -3.264
-10.593 -35.698 7.898
Se Mo W Te S
4 2 2 2 2
Cartesian
-3.451 -11.631 2.573
-2.519 -8.490 1.878
-6.546 -18.351 2.476
-5.618 -15.224 1.784
-0.994 -3.351 0.741
-4.975 -16.766 3.709
-4.092 -10.081 0.646
-8.072 -23.494 3.613
-2.629 -5.151 -0.445
-1.574 -1.594 -1.232
-6.541 -22.044 4.877
-7.389 -24.901 5.509
```

Version two
A geometry-optimized TeMoWSe2S structure, computed with PBE.

The structure in POSCAR format:
```
TeMoWSe2S
1.0
0.359 1.814 2.790
-1.518 1.324 -2.673
-33.502 -12.844 12.664
Se Mo Te S W
4 2 2 2 2
Cartesian
-11.807 -2.697 3.274
-1.946 1.007 1.604
-8.859 -1.567 2.159
-4.879 -0.118 2.712
-4.038 0.281 0.337
-16.627 -4.545 5.096
-24.599 -7.601 8.109
-21.243 -6.315 6.841
-17.336 -4.893 7.421
-14.667 -3.870 6.412
-9.708 -1.969 4.537
-22.296 -6.795 9.296
```

Version three
A geometry-optimized TeMoWSe2S structure, computed with PBE.

The structure in POSCAR format:
```
TeMoWSe2S
1.0
1.672 -2.896 0.000
1.672 2.896 0.000
0.000 0.000 38.050
Se Te Mo S W
4 2 2 2 2
Cartesian
1.672 -0.965 19.534
1.672 0.965 12.387
1.672 0.965 9.057
1.672 -0.965 16.205
1.672 0.965 23.114
1.672 0.965 26.926
1.672 -0.965 10.723
1.672 0.965 17.871
1.672 -0.965 2.050
1.672 -0.965 5.097
1.672 0.965 3.574
1.672 -0.965 25.021
```

Bottom line: version one, by a margin of 21 meV per atom.

Version one
A geometry-optimized TeMoWSe2S structure, computed with PBE.

The structure in POSCAR format:
```
TeMoWSe2S
1.0
1.670 -2.893 0.000
1.670 2.893 0.000
0.000 0.000 38.074
Te Mo S Se W
2 2 2 4 2
Cartesian
1.670 0.964 12.624
1.670 0.964 8.832
1.670 -0.964 10.729
1.670 0.964 17.883
1.670 -0.964 2.053
1.670 -0.964 5.099
1.670 -0.964 16.216
1.670 -0.964 19.550
1.670 0.964 23.360
1.670 0.964 26.710
1.670 0.964 3.576
1.670 -0.964 25.035
```

Version two
A geometry-optimized TeMoWSe2S structure, computed with PBE.

The structure in POSCAR format:
```
=====

6) Jaybo Shaw looked very steady to me today. I didn't see all his work, but he looked very steady to me and head and shoulders above the rest of the QB's that practiced.

7) Melton looks great. He's big and athletic and I think fits Johnson's system perfectly. I was also impressed with R. B. Clyburn. BeBe is even bigger than last year. I think their size alone is an advantage in Johnson's system.

8) Dwyer is Dwyer, we could use some B Back Backups. I did see Tongo run right with Dwyer across the field once. I was impressed.

9) Marcus Wright may be the smallest player in the NCAA this year. We could use some A Back Backups.

10) Our OL could use some backups.

11) When the first team defense is on the field, I found it hard not to watch the DL and Morgan Burnett. Nothing against the rest, but these guys are very noticeable.
Everytime i watch first team d i cannot stop watching morgan burnett. Its crazy how good he is. The same goes for when tj barnes comes in he just dominates. He is taller that mj!
who was the free safety(#1) for Florida a couple years ago when they won it all...Reggie....W.?

kinda reminds me of that guy.
Reggie Nelson... Nasty hitter and ball-hawk

**Calculated crystals, kept here for reference:**
-- begin --
# 1
Computed, not measured: a geometry-optimized MgTa2CoO7 structure at the GGA+U level of DFT.

Energy, eV/f.u.: -91.710
Size of the total moment, μB/f.u.: 3.0
ΔH_f (0 K), meV per atom: -2827

Lattice parameters (Å, degrees): 6.8970 14.7729 12.2465 90.00 101.11 90.00
With the nearest neighbours (Å) after each atom.
Space group P2_1/c (No. 14)
Asymmetric unit:
Mg (0.0179, 0.0140, 0.2336) (multiplicity 4)  5 O 2.07-2.18
Mg (0.2757, 0.1225, 0.9070) (multiplicity 4)  5 O 2.04-2.23
Ta (0.1320, 0.1503, 0.4934) (multiplicity 4)  4 O 1.81-1.91
Ta (0.1980, 0.5933, 0.5250) (multiplicity 4)  4 O 1.80-1.92
Ta (0.4377, 0.5211, 0.1809) (multiplicity 4)  5 O 1.87-2.06
Ta (0.4897, 0.7290, 0.1999) (multiplicity 4)  5 O 1.85-2.06
Co (0.0226, 0.7262, 0.2814) (multiplicity 4)  5 O 2.00-2.18
Co (0.3244, 0.6399, 0.9131) (multiplicity 4)  4 O 1.95-2.01
O (0.0057, 0.1225, 0.3468) (multiplicity 4)  1 Ta 1.88
O (0.0257, 0.5933, 0.6262) (multiplicity 4)  1 Ta 1.87, 2 Mg 2.07-2.08
O (0.0520, 0.6753, 0.9149) (multiplicity 4)  1 Ta 1.89, 1 Co 1.95
O (0.0547, 0.6178, 0.3810) (multiplicity 4)  1 Ta 1.88, 1 Co 2.00, 1 Mg 2.07
O (0.2570, 0.2242, 0.7639) (multiplicity 4)  1 Ta 1.85, 1 Co 2.04
O (0.2624, 0.2439, 0.9908) (multiplicity 4)  1 Ta 1.81
O (0.2748, 0.0294, 0.7707) (multiplicity 4)  1 Ta 1.87
O (0.2959, 0.0194, 0.0198) (multiplicity 4)  1 Ta 1.80
O (0.3013, 0.0519, 0.5493) (multiplicity 4)  2 Ta 1.91-2.01
O (0.3114, 0.5320, 0.8123) (multiplicity 4)  1 Ta 1.89, 1 Co 2.01
O (0.3113, 0.7283, 0.7872) (multiplicity 4)  1 Ta 1.89, 2 Co 2.01-2.09
O (0.4070, 0.6332, 0.0794) (multiplicity 4)  1 Co 2.01, 2 Ta 2.04-2.06
O (0.4162, 0.6721, 0.5806) (multiplicity 4)  2 Ta 1.92-2.06
O (0.4641, 0.1180, 0.2165) (multiplicity 4)  2 Ta 1.93-1.94

# 2
Computed, not measured: a geometry-optimized MgCo3TeO8 structure at the GGA+U level of DFT.

Offset from the most stable computed form, eV/atom: 0.126
Energy, eV/f.u.: -73.611
Size of the total moment, μB/f.u.: 11.0
ΔH_f (0 K), meV per atom: -1413

Lattice parameters (Å, degrees): 10.4482 5.8741 6.0732 90.00 125.38 90.00
With the nearest neighbours (Å) after each atom.
Space group C2/m (No. 12)
Asymmetric unit:
Mg (0.0000, 0.0000, 0.0000) (multiplicity 2)  6 O 2.24-2.25
Co (0.0000, 0.5000, 0.0000) (multiplicity 2)  6 O 2.05-2.09
Co (0.2500, 0.2500, 0.0000) (multiplicity 4)  6 O 1.90-2.08
Te (0.0000, 0.5000, 0.5000) (multiplicity 2)  6 O 1.99-2.01
O (0.0065, 0.2684, 0.7453) (multiplicity 8)  1 Te 1.99, 2 Co 2.08-2.09
O (0.2359, 0.5000, 0.7462) (multiplicity 4)  1 Te 2.01, 2 Co 2.07, 1 Mg 2.25
O (0.2373, 0.5000, 0.1850) (multiplicity 4)  3 Co 1.90-2.05

# 3
Computed, not measured: a geometry-optimized Mg4Co5Te3O18 structure at the GGA+U level of DFT.

Energy, eV/f.u.: -177.192
Size of the total moment, μB/f.u.: 3.0
ΔH_f (0 K), meV per atom: -1910

Lattice parameters (Å, degrees): 15.0327 8.9240 10.4954 90.00 94.77 90.00
With the nearest neighbours (Å) after each atom.
Space group C2/c (No. 15)
Asymmetric unit:
-- stop --
**The page goes on:**

MB will be better :thumbup:
Well the AJC today reported that Josh in fact was hurt, so I guess I'm not divulging anything. He didn't look all that comfortable to me but if it's a stinger then I guess he'll be back in a day or two.

Gardner was also out. Edwards was with the scout team. I thought maybe it was just a timing thing but the paper said that he had been dropped back after a bad practice.

********
Record 1
## CaSmAg2 (r2SCAN)

Data for a relaxed structure of CaSmAg2.

Values from the calculation:
- calculated density (kg/m³) = 6795
- electronic total energy (eV/f.u.) = -80.7
- ΔH_f (0 K) (eV/f.u.) = -1.2

a b c (Å): 5.197 5.197 5.197
angles (deg): 60.00 60.00 60.00
Fractional coordinates of all 4 atoms:
1 Ca 0.000 0.000 0.000
2 Sm 0.500 0.500 0.500
3 Ag 0.250 0.250 0.250
4 Ag 0.750 0.750 0.750


Record 2
## Ca4ZnAg3 (r2SCAN)

Data for a relaxed structure of Ca4ZnAg3.

Values from the calculation:
- calculated density (kg/m³) = 4244
- electronic total energy (eV/f.u.) = -103.4
- ΔH_f (0 K) (eV/f.u.) = -2.3

a b c (Å): 4.275 4.447 11.307
angles (deg): 90.00 90.00 90.00
Fractional coordinates of all 8 atoms:
1 Ca 0.000 0.000 0.000
2 Ca 0.000 0.500 0.285
3 Ca 0.500 0.000 0.499
4 Ca 0.500 0.500 0.786
5 Zn 0.500 0.500 0.075
6 Ag 0.000 0.000 0.718
7 Ag 0.000 0.500 0.567
8 Ag 0.500 0.000 0.209


Record 3
## CaZnAg (r2SCAN)

Data for a relaxed structure of CaZnAg.

Values from the calculation:
- calculated density (kg/m³) = 5396
- electronic total energy (eV/f.u.) = -38.2
- ΔH_f (0 K) (eV/f.u.) = -0.9

a b c (Å): 5.798 5.798 7.331
angles (deg): 128.83 128.83 46.88
Fractional coordinates of all 6 atoms:
1 Ca 0.050 0.050 0.304
2 Ca 0.950 0.950 0.696
3 Zn 0.342 0.342 0.897
4 Zn 0.658 0.658 0.103
5 Ag 0.328 0.328 0.264
6 Ag 0.672 0.672 0.736
********

I was going to report that Frierson looked better to me this year, but it was against the scout team too (and sure enough the paper said that he had been sent down also).

Cooper is a tall kid but fairly skinny yet. He looks very much like another safety of 6 years ago or so.

It's amazing to hear a coach get on someone from 100 yards away. Wow, sound travels some times.

The band takes the field after the football team. Everyone is working hard for us Tech fans.
Thank you sir for a fine report...from ANOTHER out of towner!

I can't wait to watch our Jackets this year.

Thanks for the report, and "Buzz"

This great, perhpas genius:

not in a vacuum, like in space or between the ears of a UGA student
And yet another out-of-towner says thanks to anyone and everyone who posts a practice report. :biggthumpup: